Entries
=====
Entry 1:
A geometry-optimized CsLiU2Te4 structure, computed with PBE-GGA.

Output
M_tot: 6.00 μB/f.u.
Raw formation energy: -6.3 eV/f.u.
Density of states at the Fermi level: 27.4 states/eV/cell
Space-group type: No. 63
Calculated volume: 35.13 Å³/atom

Cell: 8.0650 8.0650 15.9403 Å, 90.00 90.00 147.17°
Closest atoms and distances in Å follow each position.
Atoms (fractional coordinates):
Cs: 0.1092 0.8908 0.7500  6 Te 3.69-3.81, 2 Li 4.12
Cs: 0.8908 0.1092 0.2500  6 Te 3.69-3.81, 2 Li 4.12
Li: 0.1693 0.8307 0.2500  4 Te 2.68-2.71
Li: 0.8307 0.1693 0.7500  4 Te 2.68-2.71
U: 0.3691 0.6309 0.5591  6 Te 3.10-3.19
U: 0.3691 0.6309 0.9409  6 Te 3.10-3.19
U: 0.6309 0.3691 0.0591  6 Te 3.10-3.19
U: 0.6309 0.3691 0.4409  6 Te 3.10-3.19
Te: 0.0000 0.0000 0.0000  4 U 3.19
Te: 0.0000 0.0000 0.5000  4 U 3.19
Te: 0.2618 0.7382 0.1055  1 Li 2.71
Te: 0.2618 0.7382 0.3945  1 Li 2.71
Te: 0.4216 0.5784 0.7500  2 Li 2.68
Te: 0.5784 0.4216 0.2500  2 Li 2.68
Te: 0.7382 0.2618 0.6055  1 Li 2.71
Te: 0.7382 0.2618 0.8945  1 Li 2.71

=====

Entry 2:
A geometry-optimized Cs2Li2UTe4 structure, computed with PBE-GGA.

Output
M_tot: 2.00 μB/f.u.
Raw formation energy: -9.0 eV/f.u.
Density of states at the Fermi level: 3.9 states/eV/cell
Space-group type: No. 12
Calculated volume: 36.54 Å³/atom

Cell: 8.7632 8.7632 8.8331 Å, 108.06 108.06 30.80°
Closest atoms and distances in Å follow each position.
Atoms (fractional coordinates):
Cs: 0.1376 0.1376 0.0663  7 Te 3.89-4.03, 3 Li 4.17-4.23
Cs: 0.8624 0.8624 0.9337  7 Te 3.89-4.03, 3 Li 4.17-4.23
Li: 0.3205 0.3205 0.5148  4 Te 2.77-2.88
Li: 0.6795 0.6795 0.4852  4 Te 2.77-2.88
U: 0.0000 0.0000 0.5000  6 Te 3.08-3.11
Te: 0.1907 0.1907 0.6608  3 Li 2.77-2.88, 1 U 3.08
Te: 0.4850 0.4850 0.7230  1 Li 2.80, 2 U 3.11
Te: 0.5150 0.5150 0.2770  1 Li 2.80, 2 U 3.11
Te: 0.8093 0.8093 0.3392  3 Li 2.77-2.88, 1 U 3.08

=====

Entry 3:
A geometry-optimized Cs4LiU3Te8 structure, computed with PBE-GGA.

Output
M_tot: 7.00 μB/f.u.
Raw formation energy: -14.2 eV/f.u.
Density of states at the Fermi level: 12.9 states/eV/cell
Space-group type: No. 166
Calculated volume: 40.57 Å³/atom

Cell: 10.3268 10.3268 10.3268 Å, 52.90 52.90 52.90°
Closest atoms and distances in Å follow each position.
Atoms (fractional coordinates):
Cs: 0.0000 0.0000 0.0000  6 Te 3.81
Cs: 0.0000 0.5000 0.5000  6 Te 3.81-3.87
Cs: 0.5000 0.0000 0.5000  6 Te 3.81-3.87
Cs: 0.5000 0.5000 0.0000  6 Te 3.81-3.87
Li: 0.5000 0.5000 0.5000  6 Te 3.17
U: 0.0000 0.0000 0.5000  6 Te 3.10-3.15
U: 0.0000 0.5000 0.0000  6 Te 3.10-3.15
U: 0.5000 0.0000 0.0000  6 Te 3.10-3.15
Te: 0.2214 0.7318 0.7318  2 U 3.10, 1 Li 3.17
Te: 0.2302 0.2302 0.2302  3 U 3.15
Te: 0.2682 0.2682 0.7786  2 U 3.10, 1 Li 3.17
Te: 0.2682 0.7786 0.2682  2 U 3.10, 1 Li 3.17
Te: 0.7318 0.2214 0.7318  2 U 3.10, 1 Li 3.17
Te: 0.7318 0.7318 0.2214  2 U 3.10, 1 Li 3.17
Te: 0.7698 0.7698 0.7698  3 U 3.15
Te: 0.7786 0.2682 0.2682  2 U 3.10, 1 Li 3.17
=====

Activity
Count the lines above that contain the word "energy" and give the number alone.

Completed
3